Overview: What are breast cysts?
Breast cysts are cavities in the breast tissue that contain fluid and are surrounded by a capsule. Some women have only isolated cysts in the breast, while others have many. They can remain small, but also grow to a considerable size. Many do not feel breast cysts. Only when they become very large, they can cause discomfort. Then they are often palpable from the outside.
Cysts are divided into simple (uncomplicated) and complex or complicated cysts. Both differ in their design and the structures inside.
Breast cysts – frequency and age
Cysts in the breast are among the most common benign breast lesions. In most women, breast cysts develop between the ages of 30 and 50.
Breast cysts: causes are different
Breast cysts can have various causes. They often occur in the setting of mastopathy, a benign breast disease. In cystic mastopathy, the glandular cells grow particularly strongly and produce more fluid. As a result, many, usually small cysts form in the glandular lobules. Their size can vary significantly due to hormonal influences in the monthly cycle. Sometimes the size does not change. Breast cysts can also be detected in fibrocystic mastopathy. Here, however, the connective tissue also multiplies.
_Inserted here: crystal structures_
1.
Calculated powder X-ray diffraction pattern of Ba2TmMgRuO6 for Cu Kα X-rays, from the PBE geometry in the Materials Project.

Largest 10 diffraction maxima, by angle, 2θ = 5–70°:
| two_theta | Rel. int. | hkl |
| --- | --- | --- |
| 17.94 | 14 | 1 0 1 |
| 28.73 | 100 | 1 1 2 |
| 29.47 | 40 | 0 2 0 |
| 30.48 | 37 | 2 0 0 |
| 32.74 | 25 | 0 1 3 |
| 42.91 | 44 | 2 2 0 |
| 45.33 | 19 | 2 1 3 |
| 51.83 | 20 | 1 3 2 |
| 53.10 | 19 | 3 1 2 |
| 59.50 | 12 | 2 2 4 |

Crystal structure
a b c (Å): 5.8652 6.0613 9.1971
angles (deg): 90.00 90.00 90.00
Space group Immm (No. 71)
Symmetry-distinct sites (fractional):
Ba 0.0000 0.0000 0.1908 x4
Tm 0.0000 0.5000 0.0000 x2
Mg 0.0000 0.0000 0.5000 x2
Ru 0.0000 0.5000 0.5000 x2
O 0.0000 0.5000 0.2617 x4
O 0.2319 0.2417 0.5000 x8

2.
Calculated powder X-ray diffraction pattern of SrSmTi4O12 for Cu Kα X-rays, from the PBE geometry in the Materials Project.

Largest 10 diffraction maxima, by angle, 2θ = 5–70°:
| two_theta | Rel. int. | hkl |
| --- | --- | --- |
| 11.38 | 7 | 0 0 1 |
| 19.78 | 100 | 1 0 1 |
| 32.58 | 99 | 2 0 0 |
| 38.40 | 55 | 2 1 1 |
| 40.18 | 17 | 2 0 2 |
| 46.74 | 50 | 2 2 0 |
| 51.22 | 24 | 2 1 3 |
| 58.13 | 38 | 2 0 4 |
| 62.03 | 18 | 3 0 3 |
| 68.24 | 27 | 4 0 0 |

Crystal structure
a b c (Å): 5.4975 5.4975 7.7746
angles (deg): 90.00 90.00 90.00
Space group P4/mmm (No. 123)
Symmetry-distinct sites (fractional):
Sr 0.0000 0.0000 0.0000 x1
Sm 0.5000 0.5000 0.5000 x1
Ti 0.0000 0.5000 0.2487 x4
O 0.0000 0.5000 0.0000 x2
O 0.0000 0.5000 0.5000 x2
O 0.2557 0.2557 0.2614 x8

3.
Calculated powder X-ray diffraction pattern of PrZnBi2O6 for Cu Kα X-rays, from the PBE geometry in the Materials Project.

Largest 10 diffraction maxima, by angle, 2θ = 5–70°:
| two_theta | Rel. int. | hkl |
| --- | --- | --- |
| 20.70 | 26 | 0 1 1 |
| 24.76 | 13 | 2 1 0 |
| 27.46 | 17 | 0 2 0 |
| 29.35 | 100 | 2 1 1 |
| 31.30 | 24 | 0 0 2 |
| 31.69 | 15 | 0 2 1 |
| 41.85 | 14 | 4 0 0 |
| 42.12 | 13 | 0 2 2 |
| 53.17 | 13 | 4 0 2 |
| 54.51 | 21 | 2 1 3 |

Crystal structure
a b c (Å): 8.6352 6.4960 5.7154
angles (deg): 90.00 90.00 90.00
Space group Pmn2_1 (No. 31)
Symmetry-distinct sites (fractional):
Pr 0.0000 0.1662 0.0000 x2
Zn 0.0000 0.9022 0.4899 x2
Bi 0.2417 0.7186 0.9678 x4
O 0.0000 0.2329 0.5915 x2
O 0.0000 0.8094 0.8138 x2
O 0.1734 0.9577 0.2682 x4
O 0.1853 0.4138 0.1216 x4


Record 1
The following is a theoretical XRD peak list of ZnSeO5. It was derived from the PBE geometry in the Materials Project, using Cu Kα.
Intensities are scaled so that the largest is 100.

Main lines, by intensity (10 to 80 degrees two-theta):
2θ/deg	I_rel
13.4	100
23.3	72
29.8	42
31.0	40
34.2	30
20.4	22
30.1	21
28.5	20

Structural model:
```
28
Lattice="5.220 0.000 0.000 0.000 9.504 0.000 -3.458 0.000 9.220" Properties=species:S:1:pos:R:3 pbc="T T T"
Zn -1.123 1.281 3.937
Zn -2.853 3.471 8.547
Zn 4.614 6.034 0.673
Zn 2.885 8.223 5.283
Se -1.245 6.319 7.894
Se 0.484 7.938 3.284
Se 1.277 1.567 5.936
Se 3.006 3.186 1.326
O -0.013 0.587 0.179
In addition, breast cysts can also have the following causes:
- Clogged excretory ducts of the gland lobules – then fluid accumulates there and cysts form.
- Breast tissue injuries, often due to chronic inflammation of the breast. This damages the milk ducts and small vessels through which the body removes tissue fluid. The cysts are then permanently present.
- Injuries to the fatty tissue, such as from surgery or an accident. A bump or bruise causes fat cells to form what are called oil cysts. They contain tissue secretion and larger amounts of fat. Such cysts are always benign.
- Sometimes the predisposition to the formation of breast cysts is also congenital.

Symptoms: Breast cysts often go unnoticed
Breast cysts usually do not cause any symptoms. Therefore, many women do not notice the fluid-filled blisters in the breast. However, when they reach a certain size, they can be felt from the outside. A cyst usually feels round and bulging. In addition, the “node” is movable and can be moved.
Large breast cysts press on the surrounding tissue and can thus cause discomfort. In many cases, breast pain is related to the menstrual cycle, such as in mastopathy.
Breast cysts: diagnosis with us
See your gynecologist if you feel any unusual changes or lumps in your breast. In most cases they are harmless, but not always. The diagnosis of breast cysts always begins with a discussion of the patient’s medical history, the anamnesis. For example, the following questions are important:
- What complaints do you have, since when and how intense are they?
- Have you noticed any changes in your breast? Which?
- Are the symptoms related to the menstrual cycle or are you independent of it?
- Do you have any known diseases? If yes: Which ones?
- Are there any diseases in your family, for example breast cancer?
- Do you take medication regularly? If yes: Which ones?
Then both breasts are carefully palpated with the hands. In this way, changes and nodes can be tracked down and checked. It is assessed whether these are movable or cannot be moved. Further procedures then follow to further clarify these palpatory findings.
Ultrasound examination of the breast (breast ultrasound = mammasonography): The method works with sound waves that are harmless to health. A transducer emits them and the tissue reflects them to different degrees – depending on the density. Breast cysts can be detected very well on ultrasound. Because they are filled with liquid, they appear dark. We can determine the location of the cysts and measure their size.
- Mammography: In case of ambiguity, a mammogram can be supplemented and provide further clues. This breast X-ray may reveal other breast changes, such as calcifications in the breast, evidence of breast cancer, or precancerous breast lesions. Mammography is not a routine examination in the diagnosis of breast cysts.
In principle, there are two types of cysts:
- Simple (uncomplicated) cyst: the wall is smooth and limited, no structures are detectable inside the cyst.
- Complicated and complex cyst: Structures have formed inside the cyst, for example, partition walls or support on the inner wall of the cyst.
Breast cysts: prevention, early detection, prognosis
There are no known measures you can take to prevent breast cysts. Often they arise in the context of mastopathy, from which you also can not protect yourself. Also, there are no special measures for early detection of breast cysts. They are usually harmless and in most cases do not cause any symptoms.
Nevertheless, the general advice is: if you notice any change in your breast (for example, lumps, hardening, secretion from the nipple, change in size), consult your doctor and have it clarified. Most often they are benign, but not always. If breast cancer is found at an early stage, it can be treated well and the chances of cure are very good.
Breast cysts: treatment often unnecessary
Treatment of simple breast cysts is not necessary in most cases. Checks of cysts are recommended by the physician depending on the size, age of the patient and symptoms.
For large cysts that cause symptoms, a puncture may help. In this procedure, the fluid is sucked out of the cyst with the help of a thin needle. This relieves the adjacent tissue.